Exercise =
Now return the entries underneath word for word.
Given =
[1]
Entry from Alexandria via LeMat-Bulk: a crystal of SrYBePb2 relaxed with PBEsol (SCAN).

Unit cell a=5.703 b=5.703 c=5.244 alpha=90.00 beta=90.00 gamma=90.00
Fractional coordinates of all 5 atoms:
1 Sr 0.000 0.000 0.000
2 Y 0.500 0.500 0.500
3 Be 0.500 0.500 0.000
4 Pb 0.000 0.500 0.500
5 Pb 0.500 0.000 0.500

Calculated values
Total magnetic moment = 0.0 μB/f.u.
Crystal system = tetragonal
Formation energy = 1.11 eV per formula unit
SG = P4/mmm

[2]
Entry from Alexandria via LeMat-Bulk: a crystal of YCrRu relaxed with PBEsol (SCAN).

Unit cell a=4.390 b=4.390 c=4.390 alpha=60.00 beta=60.00 gamma=60.00
Fractional coordinates of all 3 atoms:
1 Y 0.000 0.000 0.000
2 Cr 0.500 0.500 0.500
3 Ru 0.250 0.250 0.250

Calculated values
Total magnetic moment = 3.0 μB/f.u.
Crystal system = cubic
Formation energy = 0.74 eV per formula unit
SG = F-43m

[3]
Entry from Alexandria via LeMat-Bulk: a crystal of Sr4SnPbO8 relaxed with PBEsol (SCAN).

Unit cell a=4.151 b=4.151 c=12.568 alpha=90.00 beta=90.00 gamma=90.00
Fractional coordinates of all 14 atoms:
1 Sr 0.000 0.000 0.141
2 Sr 0.000 0.000 0.859
3 Sr 0.500 0.500 0.351
4 Sr 0.500 0.500 0.649
5 Sn 0.500 0.500 0.000
6 Pb 0.000 0.000 0.500
7 O 0.000 0.000 0.328
8 O 0.000 0.000 0.672
9 O 0.000 0.500 0.000
10 O 0.000 0.500 0.500
11 O 0.500 0.000 0.000
12 O 0.500 0.000 0.500
13 O 0.500 0.500 0.163
14 O 0.500 0.500 0.837

Calculated values
Total magnetic moment = 0.0 μB/f.u.
Crystal system = tetragonal
Energy relative to the elements, uncorrected = -2.379 eV per atom
SG = P4/mmm

[4]
Entry from Alexandria via LeMat-Bulk: a crystal of BeCrSi2 relaxed with PBEsol (SCAN).

Unit cell a=3.014 b=3.014 c=4.858 alpha=90.00 beta=90.00 gamma=90.00
Fractional coordinates of all 4 atoms:
1 Be 0.000 0.000 0.000
2 Cr 0.000 0.000 0.500
3 Si 0.500 0.500 0.248
4 Si 0.500 0.500 0.752

Calculated values
Total magnetic moment = 0.0 μB/f.u.
Crystal system = tetragonal
Energy relative to the elements, uncorrected = 0.004 eV per atom
SG = P4/mmm

[5]
Entry from Alexandria via LeMat-Bulk: a crystal of CdPb2W relaxed with PBEsol (SCAN).

Unit cell a=5.041 b=5.041 c=5.041 alpha=60.00 beta=60.00 gamma=60.00
Fractional coordinates of all 4 atoms:
1 Cd 0.000 0.000 0.000
2 Pb 0.250 0.250 0.250
3 Pb 0.500 0.500 0.500
4 W 0.750 0.750 0.750

Calculated values
Total magnetic moment = 0.0 μB/f.u.
Crystal system = cubic
Formation energy = 5.02 eV per formula unit
SG = F-43m

[6]
Entry from Alexandria via LeMat-Bulk: a crystal of Ba2TaMoC relaxed with PBEsol (SCAN).

Unit cell a=6.261 b=6.261 c=4.562 alpha=90.00 beta=90.00 gamma=90.00
Fractional coordinates of all 5 atoms:
1 Ba 0.000 0.500 0.000
2 Ba 0.500 0.000 0.000
3 Ta 0.000 0.000 0.000
4 Mo 0.000 0.000 0.500
5 C 0.500 0.500 0.500

Calculated values
Total magnetic moment = 1.4 μB/f.u.
Crystal system = tetragonal
Formation energy = 10.36 eV per formula unit
SG = P4/mmm

[7]
Entry from Alexandria via LeMat-Bulk: a crystal of Sr4Zn3F14 relaxed with PBEsol (SCAN).

Unit cell a=6.746 b=6.746 c=7.098 alpha=90.00 beta=90.00 gamma=120.00
Fractional coordinates of all 21 atoms:
1 Sr 0.000 0.000 0.238
2 Sr 0.000 0.000 0.762
3 Sr 0.333 0.667 0.000
4 Sr 0.667 0.333 0.000
5 Zn 0.000 0.546 0.500
6 Zn 0.454 0.454 0.500
7 Zn 0.546 0.000 0.500
8 F 0.000 0.241 0.500
9 F 0.000 0.267 0.000
10 F 0.000 0.611 0.230
11 F 0.000 0.611 0.770
12 F 0.241 0.000 0.500
13 F 0.267 0.000 0.000
14 F 0.333 0.667 0.500
15 F 0.389 0.389 0.230
16 F 0.389 0.389 0.770
17 F 0.611 0.000 0.230
18 F 0.611 0.000 0.770
19 F 0.667 0.333 0.500
20 F 0.733 0.733 0.000
21 F 0.759 0.759 0.500

Calculated values
Total magnetic moment = 0.0 μB/f.u.
Crystal system = hexagonal
Energy relative to the elements, uncorrected = -3.467 eV per atom
SG = P-62m

[8]
Entry from Alexandria via LeMat-Bulk: a crystal of TaBe2 relaxed with PBEsol (SCAN).

Unit cell a=4.578 b=4.578 c=4.578 alpha=60.00 beta=60.00 gamma=60.00
Fractional coordinates of all 6 atoms:
1 Ta 0.125 0.125 0.125
2 Ta 0.875 0.875 0.875
3 Be 0.000 0.500 0.500
Worked solution =
[1]
Entry from Alexandria via LeMat-Bulk: a crystal of SrYBePb2 relaxed with PBEsol (SCAN).

Unit cell a=5.703 b=5.703 c=5.244 alpha=90.00 beta=90.00 gamma=90.00
Fractional coordinates of all 5 atoms:
1 Sr 0.000 0.000 0.000
2 Y 0.500 0.500 0.500
3 Be 0.500 0.500 0.000
4 Pb 0.000 0.500 0.500
5 Pb 0.500 0.000 0.500

Calculated values
Total magnetic moment = 0.0 μB/f.u.
Crystal system = tetragonal
Formation energy = 1.11 eV per formula unit
SG = P4/mmm

[2]
Entry from Alexandria via LeMat-Bulk: a crystal of YCrRu relaxed with PBEsol (SCAN).

Unit cell a=4.390 b=4.390 c=4.390 alpha=60.00 beta=60.00 gamma=60.00
Fractional coordinates of all 3 atoms:
1 Y 0.000 0.000 0.000
2 Cr 0.500 0.500 0.500
3 Ru 0.250 0.250 0.250

Calculated values
Total magnetic moment = 3.0 μB/f.u.
Crystal system = cubic
Formation energy = 0.74 eV per formula unit
SG = F-43m

[3]
Entry from Alexandria via LeMat-Bulk: a crystal of Sr4SnPbO8 relaxed with PBEsol (SCAN).

Unit cell a=4.151 b=4.151 c=12.568 alpha=90.00 beta=90.00 gamma=90.00
Fractional coordinates of all 14 atoms:
1 Sr 0.000 0.000 0.141
2 Sr 0.000 0.000 0.859
3 Sr 0.500 0.500 0.351
4 Sr 0.500 0.500 0.649
5 Sn 0.500 0.500 0.000
6 Pb 0.000 0.000 0.500
7 O 0.000 0.000 0.328
8 O 0.000 0.000 0.672
9 O 0.000 0.500 0.000
10 O 0.000 0.500 0.500
11 O 0.500 0.000 0.000
12 O 0.500 0.000 0.500
13 O 0.500 0.500 0.163
14 O 0.500 0.500 0.837

Calculated values
Total magnetic moment = 0.0 μB/f.u.
Crystal system = tetragonal
Energy relative to the elements, uncorrected = -2.379 eV per atom
SG = P4/mmm

[4]
Entry from Alexandria via LeMat-Bulk: a crystal of BeCrSi2 relaxed with PBEsol (SCAN).

Unit cell a=3.014 b=3.014 c=4.858 alpha=90.00 beta=90.00 gamma=90.00
Fractional coordinates of all 4 atoms:
1 Be 0.000 0.000 0.000
2 Cr 0.000 0.000 0.500
3 Si 0.500 0.500 0.248
4 Si 0.500 0.500 0.752

Calculated values
Total magnetic moment = 0.0 μB/f.u.
Crystal system = tetragonal
Energy relative to the elements, uncorrected = 0.004 eV per atom
SG = P4/mmm

[5]
Entry from Alexandria via LeMat-Bulk: a crystal of CdPb2W relaxed with PBEsol (SCAN).

Unit cell a=5.041 b=5.041 c=5.041 alpha=60.00 beta=60.00 gamma=60.00
Fractional coordinates of all 4 atoms:
1 Cd 0.000 0.000 0.000
2 Pb 0.250 0.250 0.250
3 Pb 0.500 0.500 0.500
4 W 0.750 0.750 0.750

Calculated values
Total magnetic moment = 0.0 μB/f.u.
Crystal system = cubic
Formation energy = 5.02 eV per formula unit
SG = F-43m

[6]
Entry from Alexandria via LeMat-Bulk: a crystal of Ba2TaMoC relaxed with PBEsol (SCAN).

Unit cell a=6.261 b=6.261 c=4.562 alpha=90.00 beta=90.00 gamma=90.00
Fractional coordinates of all 5 atoms:
1 Ba 0.000 0.500 0.000
2 Ba 0.500 0.000 0.000
3 Ta 0.000 0.000 0.000
4 Mo 0.000 0.000 0.500
5 C 0.500 0.500 0.500

Calculated values
Total magnetic moment = 1.4 μB/f.u.
Crystal system = tetragonal
Formation energy = 10.36 eV per formula unit
SG = P4/mmm

[7]
Entry from Alexandria via LeMat-Bulk: a crystal of Sr4Zn3F14 relaxed with PBEsol (SCAN).

Unit cell a=6.746 b=6.746 c=7.098 alpha=90.00 beta=90.00 gamma=120.00
Fractional coordinates of all 21 atoms:
1 Sr 0.000 0.000 0.238
2 Sr 0.000 0.000 0.762
3 Sr 0.333 0.667 0.000
4 Sr 0.667 0.333 0.000
5 Zn 0.000 0.546 0.500
6 Zn 0.454 0.454 0.500
7 Zn 0.546 0.000 0.500
8 F 0.000 0.241 0.500
9 F 0.000 0.267 0.000
10 F 0.000 0.611 0.230
11 F 0.000 0.611 0.770
12 F 0.241 0.000 0.500
13 F 0.267 0.000 0.000
14 F 0.333 0.667 0.500
15 F 0.389 0.389 0.230
16 F 0.389 0.389 0.770
17 F 0.611 0.000 0.230
18 F 0.611 0.000 0.770
19 F 0.667 0.333 0.500
20 F 0.733 0.733 0.000
21 F 0.759 0.759 0.500

Calculated values
Total magnetic moment = 0.0 μB/f.u.
Crystal system = hexagonal
Energy relative to the elements, uncorrected = -3.467 eV per atom
SG = P-62m

[8]
Entry from Alexandria via LeMat-Bulk: a crystal of TaBe2 relaxed with PBEsol (SCAN).

Unit cell a=4.578 b=4.578 c=4.578 alpha=60.00 beta=60.00 gamma=60.00
Fractional coordinates of all 6 atoms:
1 Ta 0.125 0.125 0.125
2 Ta 0.875 0.875 0.875
3 Be 0.000 0.500 0.500